Excerpt >
/*
Entry 1:
CePm2In6: simulated X-ray diffraction stick pattern (Cu Ka), based on a structure optimized by DFT (GGA-PBE).

Principal peaks in the range 2θ from 10° to 90°, in order of rising 2θ:
2θ (°), d [Å], I/Imax
31.93, 2.803, 1000
35.71, 2.515, 775
48.64, 1.872, 305
49.79, 1.831, 99
61.78, 1.502, 294
62.77, 1.480, 291
64.15, 1.452, 136
75.63, 1.257, 84
84.44, 1.147, 123
85.32, 1.138, 125

Cell and atoms:
```
9
Lattice="8.7110 0.0000 0.0000 -4.3555 7.5440 0.0000 0.0000 0.0000 3.6625" Properties=species:S:1:pos:R:3 pbc="T T T"
Ce 0.0000 0.0000 0.0000
Pm 0.0000 5.0293 0.0000
Pm 4.3555 2.5147 0.0000
In -1.4533 2.5172 1.8313
In -2.9022 5.0268 1.8313
In 2.9066 0.0000 1.8313
In 1.4533 2.5172 1.8313
In 5.8044 0.0000 1.8313
In 2.9022 5.0268 1.8313
```

Entry 2:
LiTlF3: simulated X-ray diffraction stick pattern (Cu Ka), based on a structure optimized by DFT (GGA-PBE).

Principal peaks in the range 2θ from 10° to 90°, in order of rising 2θ:
2θ (°), d [Å], I/Imax
12.58, 7.035, 1000
17.12, 5.179, 223
21.30, 4.171, 322
29.88, 2.990, 233
30.73, 2.910, 166
32.54, 2.752, 457
39.56, 2.278, 338
49.39, 1.845, 192
53.05, 1.726, 101
54.75, 1.677, 141

Cell and atoms:
```
10
Lattice="5.9799 0.0000 0.0000 -2.9900 5.1788 0.0000 0.0000 0.0000 7.0355" Properties=species:S:1:pos:R:3 pbc="T T T"
Li 0.0000 0.0000 1.5308
Li 0.0000 0.0000 5.5046
Tl 0.0000 3.4525 0.0000
Tl 2.9900 1.7263 0.0000
F -0.9238 1.6000 5.7858
F -2.0662 3.5787 1.2497
F 1.8475 0.0000 5.7858
F 0.9238 1.6000 1.2497
F 4.1324 0.0000 1.2497
F 2.0662 3.5787 5.7858
```

Entry 3:
LuTaFe4: simulated X-ray diffraction stick pattern (Cu Ka), based on a structure optimized by DFT (GGA-PBE).

Principal peaks in the range 2θ from 10° to 90°, in order of rising 2θ:
2θ (°), d [Å], I/Imax
22.02, 4.036, 227
36.35, 2.472, 734
42.91, 2.108, 1000
44.92, 2.018, 118
57.46, 1.604, 60
65.40, 1.427, 269
69.92, 1.345, 303
77.19, 1.236, 216
81.45, 1.182, 49
88.45, 1.105, 124

Cell and atoms:
```
6
Lattice="0.0000 3.4953 3.4953 3.4953 0.0000 3.4953 3.4953 3.4953 0.0000" Properties=species:S:1:pos:R:3 pbc="T T T"
Lu 0.0000 0.0000 0.0000
Ta 5.2429 5.2429 5.2429
Fe 2.6246 2.6246 2.6246
Fe 4.3659 4.3659 2.6246
Fe 4.3659 2.6246 4.3659
Fe 2.6246 4.3659 4.3659
```

Entry 4:
LiPm2Cd3: simulated X-ray diffraction stick pattern (Cu Ka), based on a structure optimized by DFT (GGA-PBE).

Principal peaks in the range 2θ from 10° to 90°, in order of rising 2θ:
2θ (°), d [Å], I/Imax
10.05, 8.801, 129
20.21, 4.393, 178
33.51, 2.674, 1000
35.39, 2.536, 776
49.53, 1.840, 325
54.43, 1.686, 76
62.30, 1.490, 210
62.43, 1.488, 109
63.60, 1.463, 94
66.62, 1.404, 236

Cell and atoms:
```
6
Lattice="3.3712 0.0000 0.0000 0.0000 5.0639 0.0000 0.0000 0.0000 8.8007" Properties=species:S:1:pos:R:3 pbc="T T T"
Li 0.0000 0.0000 0.0000
Pm 1.6856 0.0000 5.8505
Pm 1.6856 2.5320 1.5130
Cd 0.0000 0.0000 2.8648
Cd 0.0000 2.5320 4.4407
Cd 0.0000 2.5320 7.4351
```

- Which formula does entry 1 have?
  CePm2In6
*/
Wanted >
Please filter the notes above: keep the lines with the word "peaks".
Solution >
Principal peaks in the range 2θ from 10° to 90°, in order of rising 2θ:
Principal peaks in the range 2θ from 10° to 90°, in order of rising 2θ:
Principal peaks in the range 2θ from 10° to 90°, in order of rising 2θ:
Principal peaks in the range 2θ from 10° to 90°, in order of rising 2θ: